........
Record 1
# Li4ZnSn2Pt
Theoretical powder XRD pattern, Cu Ka. Input: DFT lattice parameters and positions (GGA-PBE).
Lines closer than 0.1° are merged.

Structure:
Cell: 4.5027 4.5027 6.4335 Å, 90.00 90.00 90.00°
Space group P-4m2 (No. 115)
Inequivalent atoms, fractional coordinates:
Li (0.0000, 0.0000, 0.0000) (multiplicity 1)
Li (0.0000, 0.5000, 0.2444) (multiplicity 2)
Li (0.5000, 0.5000, 0.5000) (multiplicity 1)
Zn (0.0000, 0.0000, 0.5000) (multiplicity 1)
Sn (0.0000, 0.5000, 0.7583) (multiplicity 2)
Pt (0.5000, 0.5000, 0.0000) (multiplicity 1)

Most intense lines, 5 to 70 degrees two-theta, by angle:
- (0 0 1), 6.434 Å, I = 13
- (1 0 0), 4.503 Å, I = 10
- (1 0 1), 3.689 Å, I = 100
- (1 1 2), 2.263 Å, I = 64
- (2 0 0), 2.251 Å, I = 32
- (1 0 3), 1.936 Å, I = 17
- (2 1 1), 1.922 Å, I = 34
- (2 2 0), 1.592 Å, I = 11
- (2 1 3), 1.468 Å, I = 14
- (3 0 1), 1.462 Å, I = 7

***

Record 2
# LiY3Pt8
Theoretical powder XRD pattern, Cu Ka. Input: DFT lattice parameters and positions (GGA-PBE).
Lines closer than 0.1° are merged.

Structure:
Cell: 5.4054 5.4054 26.4903 Å, 90.00 90.00 120.00°
Space group R3m (No. 160, hexagonal axes)
Inequivalent atoms, fractional coordinates:
Li (0.0000, 0.0000, 0.0000) (multiplicity 3)
Y (0.0000, 0.0000, 0.1243) (multiplicity 3)
Y (0.0000, 0.0000, 0.5116) (multiplicity 3)
Y (0.0000, 0.0000, 0.6402) (multiplicity 3)
Pt (0.0000, 0.0000, 0.3217) (multiplicity 3)
Pt (0.0000, 0.0000, 0.8216) (multiplicity 3)
Pt (0.0028, 0.5014, 0.0717) (multiplicity 9)
Pt (0.1672, 0.3343, 0.9045) (multiplicity 9)

Most intense lines, 5 to 70 degrees two-theta, by angle:
- (0 0 6), 4.414 Å, I = 63
- (1 0 7), 2.943 Å, I = 1
- (1 1 0), 2.703 Å, I = 6
- (2 0 2), 2.305 Å, I = 100
- (0 2 4), 2.207 Å, I = 76
- (2 0 8), 1.911 Å, I = 26
- (0 1 14), 1.754 Å, I = 17
- (3 0 0), 1.561 Å, I = 2
- (2 1 10), 1.471 Å, I = 32
- (2 2 0), 1.351 Å, I = 32

***

Record 3
# LiZr2Pt
Theoretical powder XRD pattern, Cu Ka. Input: DFT lattice parameters and positions (GGA-PBE).
Lines closer than 0.1° are merged.

Structure:
Cell: 6.5961 6.5961 6.5961 Å, 90.00 90.00 90.00°
Space group F-43m (No. 216)
Inequivalent atoms, fractional coordinates:
Li (0.0000, 0.0000, 0.0000) (multiplicity 4)
Zr (0.0000, 0.0000, 0.5000) (multiplicity 4)
Zr (0.2500, 0.2500, 0.7500) (multiplicity 4)
Pt (0.2500, 0.2500, 0.2500) (multiplicity 4)

Most intense lines, 5 to 70 degrees two-theta, by angle:
- (1 1 1), 3.808 Å, I = 29
- (2 0 0), 3.298 Å, I = 30
- (2 2 0), 2.332 Å, I = 100
- (3 1 1), 1.989 Å, I = 15
- (2 2 2), 1.904 Å, I = 9
- (4 0 0), 1.649 Å, I = 17
- (3 3 1), 1.513 Å, I = 6
- (4 2 0), 1.475 Å, I = 12
- (4 2 2), 1.346 Å, I = 34

***

Record 4
# LiPuTc
Theoretical powder XRD pattern, Cu Ka. Input: DFT lattice parameters and positions (GGA-PBE).
Lines closer than 0.1° are merged.

Structure:
Cell: 6.1536 6.1536 6.1536 Å, 90.00 90.00 90.00°
Space group F-43m (No. 216)
Inequivalent atoms, fractional coordinates:
Li (0.0000, 0.0000, 0.0000) (multiplicity 4)
Pu (0.2500, 0.2500, 0.2500) (multiplicity 4)
Tc (0.0000, 0.0000, 0.5000) (multiplicity 4)

Most intense lines, 5 to 70 degrees two-theta, by angle:
- (1 1 1), 3.553 Å, I = 100
- (2 0 0), 3.077 Å, I = 13
- (2 2 0), 2.176 Å, I = 73
- (3 1 1), 1.855 Å, I = 50
- (2 2 2), 1.776 Å, I = 4
- (4 0 0), 1.538 Å, I = 12
- (3 3 1), 1.412 Å, I = 21
- (4 2 0), 1.376 Å, I = 5
........
What is needed: quote the material earlier on without additions.
Record 1
# Li4ZnSn2Pt
Theoretical powder XRD pattern, Cu Ka. Input: DFT lattice parameters and positions (GGA-PBE).
Lines closer than 0.1° are merged.

Structure:
Cell: 4.5027 4.5027 6.4335 Å, 90.00 90.00 90.00°
Space group P-4m2 (No. 115)
Inequivalent atoms, fractional coordinates:
Li (0.0000, 0.0000, 0.0000) (multiplicity 1)
Li (0.0000, 0.5000, 0.2444) (multiplicity 2)
Li (0.5000, 0.5000, 0.5000) (multiplicity 1)
Zn (0.0000, 0.0000, 0.5000) (multiplicity 1)
Sn (0.0000, 0.5000, 0.7583) (multiplicity 2)
Pt (0.5000, 0.5000, 0.0000) (multiplicity 1)

Most intense lines, 5 to 70 degrees two-theta, by angle:
- (0 0 1), 6.434 Å, I = 13
- (1 0 0), 4.503 Å, I = 10
- (1 0 1), 3.689 Å, I = 100
- (1 1 2), 2.263 Å, I = 64
- (2 0 0), 2.251 Å, I = 32
- (1 0 3), 1.936 Å, I = 17
- (2 1 1), 1.922 Å, I = 34
- (2 2 0), 1.592 Å, I = 11
- (2 1 3), 1.468 Å, I = 14
- (3 0 1), 1.462 Å, I = 7

***

Record 2
# LiY3Pt8
Theoretical powder XRD pattern, Cu Ka. Input: DFT lattice parameters and positions (GGA-PBE).
Lines closer than 0.1° are merged.

Structure:
Cell: 5.4054 5.4054 26.4903 Å, 90.00 90.00 120.00°
Space group R3m (No. 160, hexagonal axes)
Inequivalent atoms, fractional coordinates:
Li (0.0000, 0.0000, 0.0000) (multiplicity 3)
Y (0.0000, 0.0000, 0.1243) (multiplicity 3)
Y (0.0000, 0.0000, 0.5116) (multiplicity 3)
Y (0.0000, 0.0000, 0.6402) (multiplicity 3)
Pt (0.0000, 0.0000, 0.3217) (multiplicity 3)
Pt (0.0000, 0.0000, 0.8216) (multiplicity 3)
Pt (0.0028, 0.5014, 0.0717) (multiplicity 9)
Pt (0.1672, 0.3343, 0.9045) (multiplicity 9)

Most intense lines, 5 to 70 degrees two-theta, by angle:
- (0 0 6), 4.414 Å, I = 63
- (1 0 7), 2.943 Å, I = 1
- (1 1 0), 2.703 Å, I = 6
- (2 0 2), 2.305 Å, I = 100
- (0 2 4), 2.207 Å, I = 76
- (2 0 8), 1.911 Å, I = 26
- (0 1 14), 1.754 Å, I = 17
- (3 0 0), 1.561 Å, I = 2
- (2 1 10), 1.471 Å, I = 32
- (2 2 0), 1.351 Å, I = 32

***

Record 3
# LiZr2Pt
Theoretical powder XRD pattern, Cu Ka. Input: DFT lattice parameters and positions (GGA-PBE).
Lines closer than 0.1° are merged.

Structure:
Cell: 6.5961 6.5961 6.5961 Å, 90.00 90.00 90.00°
Space group F-43m (No. 216)
Inequivalent atoms, fractional coordinates:
Li (0.0000, 0.0000, 0.0000) (multiplicity 4)
Zr (0.0000, 0.0000, 0.5000) (multiplicity 4)
Zr (0.2500, 0.2500, 0.7500) (multiplicity 4)
Pt (0.2500, 0.2500, 0.2500) (multiplicity 4)

Most intense lines, 5 to 70 degrees two-theta, by angle:
- (1 1 1), 3.808 Å, I = 29
- (2 0 0), 3.298 Å, I = 30
- (2 2 0), 2.332 Å, I = 100
- (3 1 1), 1.989 Å, I = 15
- (2 2 2), 1.904 Å, I = 9
- (4 0 0), 1.649 Å, I = 17
- (3 3 1), 1.513 Å, I = 6
- (4 2 0), 1.475 Å, I = 12
- (4 2 2), 1.346 Å, I = 34

***

Record 4
# LiPuTc
Theoretical powder XRD pattern, Cu Ka. Input: DFT lattice parameters and positions (GGA-PBE).
Lines closer than 0.1° are merged.

Structure:
Cell: 6.1536 6.1536 6.1536 Å, 90.00 90.00 90.00°
Space group F-43m (No. 216)
Inequivalent atoms, fractional coordinates:
Li (0.0000, 0.0000, 0.0000) (multiplicity 4)
Pu (0.2500, 0.2500, 0.2500) (multiplicity 4)
Tc (0.0000, 0.0000, 0.5000) (multiplicity 4)

Most intense lines, 5 to 70 degrees two-theta, by angle:
- (1 1 1), 3.553 Å, I = 100
- (2 0 0), 3.077 Å, I = 13
- (2 2 0), 2.176 Å, I = 73
- (3 1 1), 1.855 Å, I = 50
- (2 2 2), 1.776 Å, I = 4
- (4 0 0), 1.538 Å, I = 12
- (3 3 1), 1.412 Å, I = 21
- (4 2 0), 1.376 Å, I = 5